[Contents]
(w)
This record from the Materials Project describes a relaxed CaAl2SiO6 crystal. The functional is PBE.

```
data_CaAl2SiO6
_cell_length_a 5.334
_cell_length_b 8.743
_cell_length_c 9.705
_cell_angle_alpha 89.61
_cell_angle_beta 74.62
_cell_angle_gamma 89.32
_space_group_name_H-M_alt 'P 1'
_space_group_IT_number 1
_space_group_name_Hall 'P 1'
loop_
_atom_site_label
_atom_site_type_symbol
_atom_site_fract_x
_atom_site_fract_y
_atom_site_fract_z
_atom_site_occupancy
Ca1 Ca 0.000 0.000 0.000 1
Ca2 Ca 0.004 0.877 0.485 1
Ca3 Ca 0.490 0.378 0.000 1
Ca4 Ca 0.515 0.501 0.481 1
Al1 Al 0.002 0.597 0.001 1
Al2 Al 0.029 0.280 0.489 1
Al3 Al 0.173 0.594 0.285 1
Al4 Al 0.177 0.286 0.783 1
Al5 Al 0.329 0.092 0.211 1
Al6 Al 0.499 0.779 0.998 1
Al7 Al 0.500 0.096 0.498 1
Al8 Al 0.668 0.789 0.285 1
Si1 Si 0.317 0.782 0.710 1
Si2 Si 0.676 0.091 0.786 1
Si3 Si 0.821 0.590 0.710 1
Si4 Si 0.830 0.286 0.208 1
O1 O 0.106 0.676 0.651 1
O2 O 0.121 0.214 0.139 1
O3 O 0.190 0.458 0.870 1
O4 O 0.216 0.416 0.360 1
O5 O 0.228 0.103 0.399 1
O6 O 0.236 0.776 0.884 1
O7 O 0.272 0.612 0.094 1
O8 O 0.285 0.267 0.595 1
O9 O 0.314 0.944 0.630 1
O10 O 0.315 0.924 0.119 1
O11 O 0.360 0.716 0.361 1
O12 O 0.384 0.163 0.853 1
O13 O 0.605 0.696 0.650 1
O14 O 0.635 0.179 0.144 1
O15 O 0.700 0.965 0.364 1
O16 O 0.701 0.921 0.853 1
O17 O 0.732 0.602 0.886 1
O18 O 0.753 0.276 0.386 1
O19 O 0.761 0.108 0.608 1
O20 O 0.772 0.766 0.092 1
O21 O 0.807 0.454 0.136 1
O22 O 0.828 0.429 0.629 1
O23 O 0.861 0.666 0.360 1
O24 O 0.869 0.200 0.850 1
```


(x)
This record from the Materials Project describes a relaxed CaAl2SiO6 crystal. The functional is PBE.

```
data_CaAl2SiO6
_cell_length_a 9.712
_cell_length_b 8.759
_cell_length_c 5.330
_cell_angle_alpha 90.00
_cell_angle_beta 105.11
_cell_angle_gamma 90.00
_space_group_name_H-M_alt 'P 1 21/c 1'
_space_group_IT_number 14
_space_group_name_Hall '-P 2ybc'
loop_
_atom_site_label
_atom_site_type_symbol
_atom_site_fract_x
_atom_site_fract_y
_atom_site_fract_z
_atom_site_occupancy
Ca1 Ca 0.232 0.062 0.485 1
Al1 Al 0.038 0.153 0.832 1
Al2 Al 0.243 0.659 0.483 1
Si1 Si 0.464 0.154 0.185 1
O1 O 0.114 0.226 0.141 1
O2 O 0.117 0.522 0.294 1
O3 O 0.154 0.670 0.762 1
O4 O 0.362 0.666 0.228 1
O5 O 0.385 0.509 0.680 1
O6 O 0.404 0.242 0.900 1
```


It turns out (w) is the most stable, with the second structure 16 meV per atom higher.


(w)
This record from the Materials Project describes a relaxed Ti3V3Ge5 crystal. The functional is PBE.

```
data_Ti3V3Ge5
_cell_length_a 5.231
_cell_length_b 8.303
_cell_length_c 15.627
_cell_angle_alpha 90.00
_cell_angle_beta 90.00
_cell_angle_gamma 90.00
_space_group_name_H-M_alt 'I m m m'
_space_group_IT_number 71
_space_group_name_Hall '-I 2 2'
loop_
_atom_site_label
_atom_site_type_symbol
_atom_site_fract_x
_atom_site_fract_y
_atom_site_fract_z
_atom_site_occupancy
Ti1 Ti 0.000 0.000 0.152 1
Ti2 Ti 0.250 0.250 0.250 1
V1 V 0.000 0.272 0.418 1
V2 V 0.239 0.000 0.500 1
Ge1 Ge 0.000 0.000 0.338 1
Ge2 Ge 0.000 0.311 0.103 1
Ge3 Ge 0.000 0.500 0.301 1
Ge4 Ge 0.244 0.000 0.000 1
```


(x)
This record from the Materials Project describes a relaxed Ti3V3Ge5 crystal. The functional is PBE.

```
data_Ti3V3Ge5
_cell_length_a 18.335
_cell_length_b 5.087
_cell_length_c 7.818
_cell_angle_alpha 90.00
_cell_angle_beta 115.15
_cell_angle_gamma 90.00
_space_group_name_H-M_alt 'C 1 2/m 1'
_space_group_IT_number 12
_space_group_name_Hall '-C 2y'
loop_
_atom_site_label
_atom_site_type_symbol
_atom_site_fract_x
_atom_site_fract_y
_atom_site_fract_z
_atom_site_occupancy
Ti1 Ti 0.064 0.000 0.307 1
Ti2 Ti 0.142 0.000 0.753 1
Ti3 Ti 0.142 0.500 0.531 1
V1 V 0.064 0.500 0.821 1
V2 V 0.192 0.249 0.192 1
Ge1 Ge 0.000 0.254 0.500 1
Ge2 Ge 0.068 0.500 0.159 1
Ge3 Ge 0.069 0.000 0.974 1
Ge4 Ge 0.211 0.500 0.913 1
Ge5 Ge 0.213 0.000 0.512 1
```


It turns out (x) is the most stable, with the second structure 155 meV per atom higher.
[To do]
Now search the calculation results earlier on for the word "O1" and restate each line that has it.
[Solution]
O1 O 0.106 0.676 0.651 1
O1 O 0.114 0.226 0.141 1